(Wanted)
Please type out all of the entries underneath exactly.
(Material)
-- begin --
1.
{"formula": "C3H6O3Tm", "method": "ωB97M-V/def2-TZVPD", "symbols": ["C", "C", "O", "C", "O", "Tm", "H", "H", "H", "H", "H", "O", "H"], "coordinates": [[1.3809, -0.4845, -0.7768], [0.0605, -0.5093, -0.7550], [-0.6181, -0.9286, 0.4137], [-1.7805, -1.5588, 0.3000], [-2.0821, -1.7639, 1.5791], [-0.4608, -0.9314, 2.8568], [1.8650, -0.1362, -1.6880], [2.0073, -0.8427, 0.0407], [-0.6272, -0.2734, -1.5647], [-2.9276, -2.2145, 1.7290], [0.5811, 3.3130, -1.3345], [0.8294, 3.0730, -0.4310], [1.7722, 3.2574, -0.3695]], "e_homo_ha": [-0.8292, -0.7999], "spin_multiplicity": 3, "s2": 2.009, "charge": 3, "relative_energy_kcal_mol": 38.3, "max_force_ev_per_a": 2.74}

2.
{"formula": "C26H28FOSi", "method": "ωB97M-V/def2-TZVPD", "symbols": ["F", "C", "C", "C", "C", "C", "C", "C", "C", "C", "C", "C", "C", "C", "H", "H", "H", "H", "H", "H", "H", "H", "H", "H", "C", "Si", "C", "C", "O", "C", "C", "C", "C", "C", "C", "C", "C", "C", "C", "H", "H", "H", "H", "H", "H", "H", "H", "H", "H", "H", "H", "H", "H", "H", "H", "H", "H"], "coordinates": [[-5.1967, 3.1269, -3.5084], [-4.4436, 2.4919, -2.5572], [-3.7533, 3.2672, -1.6318], [-2.9117, 2.6117, -0.7313], [-2.6501, 1.2290, -0.8328], [-1.4349, 0.6246, -0.0714], [-1.7039, -0.8499, 0.2728], [-1.8960, -1.1466, 1.6213], [-2.3907, -2.3963, 2.0069], [-2.6899, -3.3674, 1.0448], [-2.4555, -3.0756, -0.3040], [-1.8861, -1.8482, -0.6844], [-3.4815, 0.4900, -1.6830], [-4.3702, 1.1071, -2.5701], [-3.8422, 4.3502, -1.6147], [-2.3819, 3.1958, 0.0289], [-1.3811, 1.1642, 0.8852], [-1.7001, -0.3618, 2.3608], [-2.5676, -2.5797, 3.0644], [-3.0992, -4.3377, 1.3459], [-2.7308, -3.8026, -1.0732], [-1.6832, -1.6561, -1.7403], [-3.4427, -0.5911, -1.7037], [-4.9574, 0.5127, -3.2634], [3.0971, -2.8476, -1.1127], [2.0736, -2.3625, 0.3608], [0.7250, -3.5706, 0.7032], [3.0800, -1.9544, 1.8640], [1.1653, -0.9932, -0.1270], [1.0998, 0.3169, -0.1655], [-0.1478, 0.8959, -0.8043], [0.1183, 2.3923, -0.9812], [0.5749, 3.0711, 0.3188], [1.8691, 2.4676, 0.7466], [2.1629, 1.1366, 0.3075], [3.5103, 0.7015, 0.3633], [4.4596, 1.4602, 1.0349], [4.1262, 2.7021, 1.5903], [2.8384, 3.2048, 1.4104], [3.4751, -3.8683, -0.9408], [2.4833, -2.8485, -2.0267], [3.9567, -2.1771, -1.2520], [1.1279, -4.4654, 1.1918], [-0.0506, -3.1480, 1.3515], [0.2429, -3.8778, -0.2322], [3.1636, -2.8769, 2.4561], [4.0909, -1.6238, 1.5922], [2.6114, -1.1764, 2.4820], [-0.2460, 0.4200, -1.8007], [0.9357, 2.5023, -1.7041], [-0.7570, 2.9004, -1.3882], [0.7076, 4.1532, 0.1391], [-0.1774, 2.9703, 1.1178], [3.7943, -0.2148, -0.1666], [5.4684, 1.0657, 1.1281], [4.8794, 3.2761, 2.1299], [2.5910, 4.2096, 1.7524]], "e_homo_ha": -0.4243, "spin_multiplicity": 1, "charge": 1, "relative_energy_kcal_mol": 0.0, "max_force_ev_per_a": 3.11}

3.
-- stop --
(Worked solution)
1.
{"formula": "C3H6O3Tm", "method": "ωB97M-V/def2-TZVPD", "symbols": ["C", "C", "O", "C", "O", "Tm", "H", "H", "H", "H", "H", "O", "H"], "coordinates": [[1.3809, -0.4845, -0.7768], [0.0605, -0.5093, -0.7550], [-0.6181, -0.9286, 0.4137], [-1.7805, -1.5588, 0.3000], [-2.0821, -1.7639, 1.5791], [-0.4608, -0.9314, 2.8568], [1.8650, -0.1362, -1.6880], [2.0073, -0.8427, 0.0407], [-0.6272, -0.2734, -1.5647], [-2.9276, -2.2145, 1.7290], [0.5811, 3.3130, -1.3345], [0.8294, 3.0730, -0.4310], [1.7722, 3.2574, -0.3695]], "e_homo_ha": [-0.8292, -0.7999], "spin_multiplicity": 3, "s2": 2.009, "charge": 3, "relative_energy_kcal_mol": 38.3, "max_force_ev_per_a": 2.74}

2.
{"formula": "C26H28FOSi", "method": "ωB97M-V/def2-TZVPD", "symbols": ["F", "C", "C", "C", "C", "C", "C", "C", "C", "C", "C", "C", "C", "C", "H", "H", "H", "H", "H", "H", "H", "H", "H", "H", "C", "Si", "C", "C", "O", "C", "C", "C", "C", "C", "C", "C", "C", "C", "C", "H", "H", "H", "H", "H", "H", "H", "H", "H", "H", "H", "H", "H", "H", "H", "H", "H", "H"], "coordinates": [[-5.1967, 3.1269, -3.5084], [-4.4436, 2.4919, -2.5572], [-3.7533, 3.2672, -1.6318], [-2.9117, 2.6117, -0.7313], [-2.6501, 1.2290, -0.8328], [-1.4349, 0.6246, -0.0714], [-1.7039, -0.8499, 0.2728], [-1.8960, -1.1466, 1.6213], [-2.3907, -2.3963, 2.0069], [-2.6899, -3.3674, 1.0448], [-2.4555, -3.0756, -0.3040], [-1.8861, -1.8482, -0.6844], [-3.4815, 0.4900, -1.6830], [-4.3702, 1.1071, -2.5701], [-3.8422, 4.3502, -1.6147], [-2.3819, 3.1958, 0.0289], [-1.3811, 1.1642, 0.8852], [-1.7001, -0.3618, 2.3608], [-2.5676, -2.5797, 3.0644], [-3.0992, -4.3377, 1.3459], [-2.7308, -3.8026, -1.0732], [-1.6832, -1.6561, -1.7403], [-3.4427, -0.5911, -1.7037], [-4.9574, 0.5127, -3.2634], [3.0971, -2.8476, -1.1127], [2.0736, -2.3625, 0.3608], [0.7250, -3.5706, 0.7032], [3.0800, -1.9544, 1.8640], [1.1653, -0.9932, -0.1270], [1.0998, 0.3169, -0.1655], [-0.1478, 0.8959, -0.8043], [0.1183, 2.3923, -0.9812], [0.5749, 3.0711, 0.3188], [1.8691, 2.4676, 0.7466], [2.1629, 1.1366, 0.3075], [3.5103, 0.7015, 0.3633], [4.4596, 1.4602, 1.0349], [4.1262, 2.7021, 1.5903], [2.8384, 3.2048, 1.4104], [3.4751, -3.8683, -0.9408], [2.4833, -2.8485, -2.0267], [3.9567, -2.1771, -1.2520], [1.1279, -4.4654, 1.1918], [-0.0506, -3.1480, 1.3515], [0.2429, -3.8778, -0.2322], [3.1636, -2.8769, 2.4561], [4.0909, -1.6238, 1.5922], [2.6114, -1.1764, 2.4820], [-0.2460, 0.4200, -1.8007], [0.9357, 2.5023, -1.7041], [-0.7570, 2.9004, -1.3882], [0.7076, 4.1532, 0.1391], [-0.1774, 2.9703, 1.1178], [3.7943, -0.2148, -0.1666], [5.4684, 1.0657, 1.1281], [4.8794, 3.2761, 2.1299], [2.5910, 4.2096, 1.7524]], "e_homo_ha": -0.4243, "spin_multiplicity": 1, "charge": 1, "relative_energy_kcal_mol": 0.0, "max_force_ev_per_a": 3.11}

3.